**Brief**
Search the lines further down for the word "Br" and duplicate each line that has it.
**Excerpt**
-- begin --
C26H30BrHgN7OS | wB97M-V/def2-TZVPD

```
67
Properties=species:S:1:pos:R:3:forces:R:3
Hg -0.36070 -0.54563 0.25999 -0.1 0.0 0.0
C -0.70574 3.95719 1.20555 0.0 0.0 0.0
C -0.77953 2.59520 0.58225 -0.1 -0.1 -0.1
N -0.05117 1.56770 1.04634 0.0 0.1 0.0
N 0.89886 1.80938 1.99376 0.0 0.1 0.0
C 1.54088 0.83995 2.64086 0.0 0.0 0.0
N 2.55706 1.28636 3.46959 0.0 0.0 0.0
S 1.17669 -0.79670 2.55073 0.0 0.0 0.0
C -1.64017 2.31280 -0.51934 0.1 0.0 0.1
C -2.48860 3.27780 -1.12353 0.0 0.0 0.0
C -3.33636 2.90432 -2.13392 0.0 0.0 0.0
C -3.35762 1.57442 -2.57770 0.0 0.0 0.0
C -2.48097 0.69323 -1.97841 0.0 0.0 0.0
N -1.64199 1.03555 -1.00527 -0.1 0.0 0.1
H -0.57210 3.88888 2.28882 0.0 0.0 0.0
H -1.63090 4.50718 1.04946 0.0 0.0 0.0
H 0.10851 4.57218 0.80250 0.0 0.0 0.0
H 1.20954 2.76179 2.12872 0.0 0.0 0.0
H 3.12346 2.03739 3.10054 0.0 0.0 0.0
H 3.11130 0.52130 3.82162 0.0 0.0 0.0
H -2.47018 4.30663 -0.79339 0.0 0.0 0.0
H -3.98971 3.64072 -2.58628 0.0 0.0 0.0
H -4.02870 1.23629 -3.35338 0.0 0.0 0.0
H -2.44188 -0.34566 -2.28979 0.0 0.0 0.0
C 6.79152 -2.93795 -0.06828 0.0 0.0 0.0
C 5.71526 -4.01426 0.07453 0.0 0.0 0.0
C 6.04091 -5.14992 -0.90622 0.0 0.0 0.0
C 5.77346 -4.55665 1.50990 0.0 0.0 0.0
C 4.31662 -3.47152 -0.21296 0.0 0.0 0.0
C 4.07151 -2.15624 -0.55520 0.0 0.1 0.0
C 2.77302 -1.73647 -0.79720 0.0 0.0 0.0
Br 2.50550 0.09122 -1.26561 0.0 0.0 0.0
C 1.64648 -2.56660 -0.70410 0.0 -0.1 -0.1
O 0.42646 -2.14398 -0.95542 0.2 0.0 0.0
C 1.90293 -3.92665 -0.34915 0.0 0.0 0.0
C 3.20966 -4.32270 -0.12412 0.0 0.0 0.0
C 0.73358 -4.90373 -0.18836 0.0 0.0 0.0
C -0.18411 -4.42520 0.94608 0.0 0.0 0.0
C 1.20059 -6.31701 0.17553 0.0 0.0 0.0
C -0.06453 -5.01282 -1.49757 0.0 0.0 0.0
H 7.77183 -3.36765 0.15184 0.0 0.0 0.0
H 6.62314 -2.11115 0.62518 0.0 0.0 0.0
H 6.82249 -2.53418 -1.08272 0.0 0.0 0.0
H 7.03519 -5.55946 -0.70350 0.0 0.0 0.0
H 6.01970 -4.78460 -1.93501 0.0 0.0 0.0
H 5.31733 -5.96226 -0.82576 0.0 0.0 0.0
H 6.76887 -4.95484 1.72873 0.0 0.0 0.0
H 5.04798 -5.35696 1.66341 0.0 0.0 0.0
H 5.55104 -3.76364 2.22697 0.0 0.0 0.0
H 4.87100 -1.43413 -0.64282 0.0 0.0 0.0
H 3.39022 -5.35400 0.14615 0.0 0.0 0.0
H 0.36589 -4.38752 1.89087 0.0 0.0 0.0
H -1.02510 -5.11365 1.06220 0.0 0.0 0.0
H -0.58592 -3.43720 0.73729 0.0 0.0 0.0
H 1.73277 -6.33894 1.13012 0.0 0.0 0.0
H 1.84790 -6.74390 -0.59540 0.0 0.0 0.0
H 0.32432 -6.96122 0.27042 0.0 0.0 0.0
H -0.44961 -4.04292 -1.80310 0.0 0.0 0.0
H -0.90720 -5.69509 -1.35814 0.0 0.0 0.0
H 0.56979 -5.40686 -2.29673 0.0 0.0 0.0
N -2.46892 -1.54032 0.75418 0.0 0.0 0.1
C -3.16457 -2.25896 0.16388 0.1 0.0 0.0
C -3.99633 -3.11792 -0.54146 0.0 0.0 0.0
C -4.86227 -2.58961 -1.52521 0.0 0.0 0.0
N -5.56701 -2.15745 -2.33290 0.0 0.0 0.0
C -3.91928 -4.51066 -0.31283 0.0 -0.1 0.0
N -3.85636 -5.64823 -0.11948 0.0 0.0 0.0
```
Positions in Å, forces in eV/Å.

**Charge**: -1
**Kohn-Sham gap (alpha / beta)**: 5.38 / 7.04 eV
**Expectation value of S²**: 0.769
**Spin multiplicity**: 2

C26H30BrIrN4O2 | wB97M-V/def2-TZVPD

```
64
Properties=species:S:1:pos:R:3:forces:R:3
Ir -0.56014 -0.89534 0.65472 0.2 -0.1 0.1
Br -5.36499 3.59046 4.31804 0.0 0.0 0.0
C -4.30489 2.27475 3.62969 0.0 0.0 0.0
C -4.75496 0.93005 3.63223 0.0 0.0 0.0
C -3.93742 -0.05425 3.17272 0.0 0.0 0.0
C -2.63229 0.24589 2.65731 -0.1 0.0 0.0
C -2.21383 1.61105 2.63053 0.0 0.0 0.0
C -3.01906 2.59341 3.11916 0.0 0.0 0.0
N -1.80784 -0.76704 2.25648 0.1 0.1 0.1
C -1.93243 -1.96642 2.97723 0.0 0.0 0.0
C -1.25564 -3.08383 2.52653 0.0 0.0 0.0
C -1.32891 -4.32956 3.18128 0.0 0.0 0.0
C -0.65311 -5.40558 2.65854 0.0 0.0 0.0
C 0.08984 -5.22890 1.49088 0.0 0.0 -0.1
C 0.14493 -3.98129 0.89862 0.0 0.0 -0.1
N -0.49910 -2.91488 1.39158 0.0 0.1 -0.1
H -5.74683 0.70061 3.99738 0.0 0.0 0.0
H -4.29246 -1.07441 3.15054 0.0 0.0 0.0
H -1.20736 1.83985 2.31565 0.0 0.0 0.0
H -2.67444 3.61757 3.16822 0.0 0.0 0.0
H -2.45728 -1.96945 3.92012 0.0 0.0 0.0
H -1.92587 -4.41826 4.07829 0.0 0.0 0.0
H -0.69631 -6.37106 3.14362 0.0 0.0 0.0
H 0.63798 -6.04631 1.04620 0.0 0.0 0.0
H 0.73990 -3.81179 0.01677 0.0 0.0 0.0
-- stop --
**Outcome**
Br 2.50550 0.09122 -1.26561 0.0 0.0 0.0
Br -5.36499 3.59046 4.31804 0.0 0.0 0.0